Breaking Stigmas and Embracing Mental Health Awareness

Let’s talk about the state of our mental health.
Nationally, children and teenagers are more anxious than they’ve been. So much so that the American Academy of Child and Adolescent Psychiatry and the American Academy of Pediatrics have declared a state of emergency, citing increasing rates of youth mental health problems between 2010 and 2020.
In a 2023 report, Mental Health America reported that 21% of adults are experiencing some form of mental illness.
Kent Mathias, MD, an assistant professor of psychiatry and addiction medicine at UF Health Psychiatry, sheds light on common barriers to care, coping strategies and treatment options for people struggling with mental health. Dr. Mathias encourages open conversations about mental health to help combat stigma, remove obstacles to care and improve awareness.
Addressing challenges, stigma and barriers
Access to mental health support remains a significant challenge in many communities today. Shortages of mental health providers, financial constraints, misconceptions and societal or cultural stigma create limitations for those who need care.
“I think the biggest misconception that we encounter is that you’re somehow weak or broken as a person if you seek help for mental health conditions, such as depression or anxiety, which we know now is not true,” Dr. Mathias said. “All these are recognized as a disease that has a treatment, and people get better. You are not alone.”
Stigma can keep people from seeking help when they need it. Younger generations tend to be more open to mental health conversations. However, the willingness to seek care for mental health is not shared everywhere, and it’s even looked down upon in some parts of the world.
“Wherever it’s perpetuated from, society, movies, friends or family, stigma only represents a small percentage of what actually occurs in mental health,” Dr. Mathias said. “But stigma is like an infectious disease that spreads very quickly.”
One issue is that severe cases seen in the media, whether it be through news, entertainment or social media, aren’t the norm. So, when major incidents or tragedies are attributed to mental illness, it can hinder some from seeking help for more minor problems, like anxiety or mild depression.
The belief that psychiatry is ineffective also deters some from seeking help.
The link between physical and mental health
“Study after study has shown that the No. 1 strategy is cardiovascular exercise,” Dr. Mathias said. “It’s almost as effective as an antidepressant. We encourage people to exercise three or four times a week for 30 minutes, with the goal being to sweat and get your heart rate up. That’s good enough.”
For people who are not used to it, exercising several times per week can seem daunting, but it is important to note that any amount of exercise can improve mental well-being. The first goal is simply to start.
The connection between mental and physical health is undeniable. Research has shown that poor mental health correlates with increased risks for conditions like cardiovascular diseases, diabetes, obesity and compromised immune function. Additionally, it affects one’s perception of pain and disrupts sleep patterns, exacerbating chronic conditions. Prioritizing mental well-being can lead to improvements in physical health and vice versa.
Our approach to care
Dr. Mathias emphasizes that practicing self-care, including consuming a balanced diet, getting enough sleep, practicing stress management techniques and limiting alcohol and drug consumption can improve mental health. Self-care also includes getting help when needed.
At UF Health Psychiatry, treatment approaches are tailored to individual needs, with a case-by- case, holistic review of the patient.
“In some cases, we go after symptoms with medication, but while that’s important to address, it’s also important to know what’s going on in someone’s life and what’s going on in someone’s family,” Dr. Mathias said.
Psychiatrists at UF Health aim to find the best possible treatment for each person.
“Medications are only one component of the recipe for mental health,” he said. “We know that medications plus therapy, for instance, are more beneficial in some disorders than just medication alone. At the end of the day, we have a good ability to meet people where they’re at and continue to support and work with them until they reach their goal.”
Psychological services such as psychotherapy and lifestyle intervention can also have a significant positive impact.
Specialized services
For those with treatment-resistant depression and other conditions, specialized treatments offer effective alternatives.
UF Health Psychiatry offers options such as transcranial magnetic stimulation, or TMS, a new therapy for refractory depression — cases where traditional medications haven’t been effective. TMS is performed on an outpatient basis and has shown remarkable efficacy with minimal side effects.
Additionally, we offer both outpatient and inpatient electroconvulsive therapy, or ECT, a highly controlled procedure used for various conditions, including severe depression and psychosis. Despite misconceptions, ECT is administered under general anesthesia, ensuring patient safety and comfort.
In response to the growing influence of digital technology, UF Health Psychiatry has embraced telehealth services to ensure accessibility and continuity of care. Telehealth has proven instrumental in reaching those who have geographical or other logistical barriers to in-person care. By leveraging technology, we continue to expand access to mental health services.
Seeking help shows strength
(Inserted here: quantum chemistry results)
/*
# C5H9IN

An isolated ion of composition C5H9IN and charge +1 (ωB97M-V/def2-TZVPD, OMol25).

Computed properties:
Lowest unoccupied orbital energy: -4.9 eV
Multiplicity: 1
Total charge: +1
Largest force on an atom: 0.0914 hartree/bohr
SMILES string: CC[N+]#C[C@H](C)I
Gap between HOMO and LUMO: 8.80 eV

Atoms and positions in Å:
C (-0.441, 2.118, 0.365)
C (-0.060, 0.542, 0.417)
C (-1.955, 2.164, -0.249)
C (1.672, -2.460, -0.663)
C (0.725, -1.906, 0.568)
N (0.539, -0.455, 0.677)
I (0.670, 3.389, -0.768)
H (-0.444, 2.290, 1.448)
H (-2.672, 1.719, 0.522)
H (-2.108, 1.585, -1.127)
H (-2.231, 3.166, -0.444)
H (2.647, -2.548, -0.188)
H (1.828, -1.696, -1.426)
H (1.044, -3.263, -0.945)
H (1.031, -2.434, 1.480)
H (-0.245, -2.212, 0.333)
*/
Looking for help is not a sign of weakness, but a proactive step toward healing and resilience. UF Health Psychiatry offers comprehensive resources and support, including free 24/7 walk-in and phone evaluations at the UF Health Psychiatric Hospital, to guide individuals on their path to mental wellness.
“If you think you need help, ask for help, and do your best not to believe the stigma,” Dr. Mathias said. “We are always here for anyone who thinks they need help.”